Funding for the proposed Ennis South Flood Relief Scheme is secure despite a setback with the progression of the project.
Clare’s Junior Minister Pat Breen has expressed his disappointment that the preferred contractor for the Ennis South Flood Relief Scheme has formally withdrawn the tender, but has received assurances that funding for the project has been ring fenced and work will go ahead early next year.
Minister Breen said, “I was disappointed to learn that the work on the Ennis South Flood Relief Scheme will inevitably be delayed slightly as the project must go to tender again, but I have been assured by my colleague, Minister of State for the Office of Public Works and Flood Relief Kevin “Boxer Moran”, that work will begin on the project in the shortest possible timeframe.
“As this is a repeat tender much of the preparatory work has already been completed, so work is expected to begin on site early next year. I have been assured by Clare County Council that the tender will be advertised before the end of this month, and this element of the process will be completed before the end of September.
“I was also informed that a contractor will be appointed by the end of the year and work will begin in early 2019,” he added.
“I spoke with Minister Moran on the issue and he has confirmed to me that the €8.6m funding for the project is secure, and will be available to complete this final element in the €39m programme of works for Ennis. He has also confirmed that the process will be completed in the shortest possible timeframe.

“Meanwhile the ongoing land acquisition process will continue at Clare County Council,” added Minster Breen.
“It is imperative that all bodies continue to work together to ensure the new contractor is in place as soon as possible, and I would like to assure those living in the affected area of Ennis that I will continue to do everything I can to ensure this project remains a priority within the OPW. I would also like to acknowledge the rapid response of Clare County Council, the OPW and Minister Moran to the issue once it became apparent a new contractor would have to be sought.”
........
First-principles (PBE) data for a relaxed TbBeZn11 crystal, as listed in Alexandria.

Volume in Å³/atom: 15.19
SG: C2/m
Electronic total energy in eV per cell: -24.46
E_form in eV per atom: -0.16

a b c (Å): 5.1957 6.6622 6.6905
angles (deg): 81.53 67.15 67.71
Fractional positions:
Tb: 0.0000 0.0000 0.0000
Be: 0.5000 0.5000 0.0000
Zn: 0.2925 0.2230 0.2135
Zn: 0.7075 0.7770 0.7865
Zn: 0.4940 0.7770 0.2135
Zn: 0.5060 0.2230 0.7865
Zn: 0.3629 0.6428 0.6536
Zn: 0.6371 0.3572 0.3464
Zn: 0.9835 0.3572 0.6536
Zn: 0.0165 0.6428 0.3464
Zn: 0.0000 0.5000 0.0000
Zn: 0.5000 0.0000 0.5000
Zn: 0.0000 0.0000 0.5000

***

First-principles (PBE) data for a relaxed LaTm2S crystal, as listed in Alexandria.

Volume in Å³/atom: 28.79
SG: R-3m
Electronic total energy in eV per cell: -21.06
ΔE_f (raw) in eV per atom: -0.765

a b c (Å): 3.6119 3.6119 10.4056
angles (deg): 80.01 80.01 60.00
Fractional positions:
S: 0.5000 0.5000 0.5000
Tm: 0.1132 0.1132 0.6603
Tm: 0.8868 0.8868 0.3397
La: 0.0000 0.0000 0.0000

***

First-principles (PBE) data for a relaxed Pm4Sn3O crystal, as listed in Alexandria.

Volume in Å³/atom: 29.84
SG: Pmn2_1
Electronic total energy in eV per cell: -88.85
ΔE_f (raw) in eV per atom: -1.057

a b c (Å): 6.3058 6.2976 12.0229
angles (deg): 90.00 90.00 90.00
Fractional positions:
Pm: 0.0617 0.8264 0.0000
Pm: 0.6425 0.2357 0.0000
Pm: 0.0662 0.2553 0.2186
Pm: 0.5662 0.7447 0.2814
Pm: 0.1425 0.7643 0.5000
Pm: 0.5617 0.1736 0.5000
Pm: 0.5662 0.7447 0.7186
Pm: 0.0662 0.2553 0.7814
Sn: 0.5593 0.7337 0.0000
Sn: 0.0608 0.7525 0.2507
Sn: 0.5608 0.2475 0.2493
Sn: 0.0593 0.2663 0.5000
Sn: 0.5608 0.2475 0.7507
Sn: 0.0608 0.7525 0.7493
O: 0.9977 0.1801 0.0000
O: 0.4977 0.8199 0.5000

***

First-principles (PBE) data for a relaxed NdHo2Er7 crystal, as listed in Alexandria.

Volume in Å³/atom: 30.94
Distance to the lowest polymorph of the same formula in eV per atom: 0.000
SG: P-1
Electronic total energy in eV per cell: -45.66
E_form in eV per atom: 0.02

a b c (Å): 6.0989 10.5660 11.1352
angles (deg): 137.55 123.22 39.75
Fractional positions:
Nd: 0.0000 0.0000 0.0000
Ho: 0.5984 0.6015 0.4008
Ho: 0.4016 0.3985 0.5992
Er: 0.8987 0.9003 0.5994
Er: 0.1013 0.0997 0.4006
Er: 0.7003 0.6987 0.7990
Er: 0.2997 0.3013 0.2010
Er: 0.8021 0.7998 0.2011
Er: 0.1979 0.2002 0.7989
Er: 0.5000 0.5000 0.0000

***

First-principles (PBE) data for a relaxed TaZnRe2 crystal, as listed in Alexandria.

Volume in Å³/atom: 15.83
SG: P4mm
Electronic total energy in eV per cell: -37.66
E_form in eV per atom: 0.09

a b c (Å): 2.9415 2.9415 7.3190
angles (deg): 90.00 90.00 90.00
Fractional positions:
Re: 0.0000 0.0000 0.0107
Re: 0.5000 0.5000 0.2193
Ta: 0.0000 0.0000 0.5055
Zn: 0.5000 0.5000 0.7645

***

First-principles (PBE) data for a relaxed NdSmHo crystal, as listed in Alexandria.

Volume in Å³/atom: 33.35
Distance to the lowest polymorph of the same formula in eV per atom: 0.000
SG: I4mm
Electronic total energy in eV per cell: -14.00
E_form in eV per atom: 0.02
........
“I will continue to remain in close contact with Minister Moran, the OPW and Clare County Council in the coming weeks and months on this issue, and I look forward to work beginning on the project in the shortest possible timeframe.”
In it’s management report Clare County Council confirmed that “following a contractual issue, the preferred Contractor for this scheme has formally withdrawn their Tender and with OPW approval, the current competition is being cancelled and will be re-tendered at the earliest juncture.”